by Daniel Giamario
I recently went to see the film “2012,” as I was curious about how they would treat the subject. Additionally, it’s part of my job description to know what is out there in the mainstream about this topic. First and foremost, it is a disaster movie to end all disaster movies. A big budget affair with enormously impressive special effects, and a big name cast, including John Cusack, an actor I generally like.
**Crystal structures, as found in the file:**
........
Below is a relaxed ThZr2Cu6 crystal, with properties calculated at the PBE level.

- Calculated formation energy: -0.128 eV/atom

Unit cell a=7.4722 b=7.4722 c=3.1460 alpha=90.00 beta=90.00 gamma=120.00
With the nearest neighbours (Å) after each atom.
Space group P6/mmm (No. 191)
Asymmetric unit:
Th  0.0000  0.0000  0.0000 [1 per cell]  12 Cu 2.98, 2 Th 3.15
Zr  0.3333  0.6667  0.0000 [2 per cell]  12 Cu 2.93, 2 Zr 3.15
Cu  0.0000  0.3390  0.5000 [6 per cell]  3 Cu 2.41-2.53


Below is a relaxed GdThCoIr crystal, with properties calculated at the PBE level.

- Calculated formation energy: -0.443 eV/atom

Unit cell a=6.9629 b=6.9629 c=6.9629 alpha=90.00 beta=90.00 gamma=90.00
With the nearest neighbours (Å) after each atom.
Space group F-43m (No. 216)
Asymmetric unit:
Gd  0.0000  0.0000  0.0000 [4 per cell]  4 Co 3.02, 4 Ir 3.02
Th  0.0000  0.0000  0.5000 [4 per cell]  4 Co 3.02, 4 Ir 3.02
Co  0.2500  0.2500  0.2500 [4 per cell]  4 Gd 3.02, 4 Th 3.02
Ir  0.2500  0.2500  0.7500 [4 per cell]  4 Gd 3.02, 4 Th 3.02


Below is a relaxed MgCdNiSn2 crystal, with properties calculated at the PBE level.

- Calculated formation energy: -0.002 eV/atom

Unit cell a=4.9444 b=4.9444 c=4.9429 alpha=90.00 beta=90.00 gamma=90.00
With the nearest neighbours (Å) after each atom.
Space group P4/mmm (No. 123)
Asymmetric unit:
Mg  0.0000  0.0000  0.0000 [1 per cell]  2 Ni 2.47
Cd  0.5000  0.5000  0.0000 [1 per cell]  8 Sn 3.50, 4 Mg 3.50
Ni  0.0000  0.0000  0.5000 [1 per cell]  2 Mg 2.47, 4 Sn 2.47
Sn  0.0000  0.5000  0.5000 [2 per cell]  2 Ni 2.47


Below is a relaxed La2Pr3Er8 crystal, with properties calculated at the PBE level.

- ΔE to the lowest computed polymorph: 3.018 eV/f.u.
- Calculated formation energy: 0.260 eV/atom

Unit cell a=20.9894 b=7.7036 c=5.5765 alpha=90.00 beta=90.01 gamma=90.00
With the nearest neighbours (Å) after each atom.
Space group C2/m (No. 12)
Asymmetric unit:
La  0.2409  0.0000  0.4994 [4 per cell]  8 Er 3.47-3.67, 2 La 3.87
Pr  0.0000  0.0000  0.5000 [2 per cell]  4 Er 3.17
Pr  0.0000  0.2957  0.0000 [4 per cell]  1 Pr 3.15, 2 Er 3.52
Er  0.1078  0.2887  0.5001 [8 per cell]  1 Pr 3.17, 3 Er 3.26-3.42
Er  0.1277  0.0000  0.9999 [4 per cell]  4 Pr 3.52-3.87, 6 Er 3.59-3.91, 2 La 3.66-3.67
Er  0.1608  0.5000  0.0003 [4 per cell]  4 Er 3.41-3.42, 2 La 3.47, 2 Pr 3.72


Below is a relaxed Tl3Zn crystal, with properties calculated at the PBE level.

- Calculated formation energy: 0.147 eV/atom

Unit cell a=4.6944 b=4.6944 c=20.0267 alpha=90.00 beta=90.00 gamma=90.00
With the nearest neighbours (Å) after each atom.
Space group I4/mmm (No. 139)
Asymmetric unit:
Tl  0.0000  0.0000  0.1250 [4 per cell]  4 Zn 3.32, 8 Tl 3.43
Tl  0.0000  0.5000  0.0000 [4 per cell]  8 Tl 3.32-3.43, 4 Zn 3.43
Tl  0.0000  0.5000  0.2500 [4 per cell]  8 Tl 3.32-3.43, 4 Zn 3.43
Zn  0.0000  0.0000  0.3749 [4 per cell]  12 Tl 3.32-3.43


Below is a relaxed NaLi2NpO6 crystal, with properties calculated at the PBE level.
........
**The article goes on:**
The Cosmology Was Missing
Mostly, however, I was troubled by how the film dealt with the issue of 2012. Part of my curiosity in seeing it was to see if there would be an intelligent expression of the cosmology. Not only was there very little mention of it, what was expressed was communicated by a hilarious and crazed Woody Harrelson, as a parody of an Art Bell/George Noory “Coast to Coast” type show. The actual show is far more rational and mainstream than what this film depicted and the Mayan prophecies are mentioned only in passing in “2012.”
I was pleased that Charles Hapgood and the HAB theories of crustal displacement were mentioned, although again only in passing. That material, popularized in the 1970’s, is actually quite plausible in my view. It was interesting that the “trigger” for the global disaster in this movie was from the Sun; not an asteroid, or some human caused circumstance. Some Mayan interpreters, notably Adrian Gilbert, have argued in favor of this scenario.
The Conspiracy
The most troubling aspect of the movie was how the information of the coming disaster was purposely withheld from humanity. Only the global elite knew about what was coming and they financed the building of the arks for the few that could afford to purchase a seat. While there is the inevitable subplot of letting some of the workers on board at the last minute, I found myself rooting for the demise of the arks at the end, because they were primarily populated by the military, corporate tycoons, government elites, and international mafia types.
I found this disturbing because of how accurate this most likely is should humanity face such a scenario. Another aspect of the film I didn’t care for was the obligatory Hollywood romantic storyline that involved the rekindling of love between the characters played by John Cusack and Amanda Peet. It was an irritating contrived plot device that rang false for me. The death of her husband was certainly not required. He was a good guy. At best, this is a movie that I can only recommend for curiosity’s sake as it does not have much that inspires or informs. My hope is that modern mainstream cinema could one day (hopefully soon) truly inspire the transformational possibilities we so greatly need at this rapidly accelerating apex of the Turning of the Ages.